Virginia Education Science Training (VEST) Fellowships

The Virginia Education Sciences Training (VEST) Program prepares students to apply theory and methods from the social sciences to research on schools and classrooms. Program faculty and students strive to improve equity and evidence in education through their work. Since 2004, the VEST Program has received grants from the U.S. Department of Education, Institute of Education Sciences (IES), to prepare a future generation of education researchers on use of theory and methods that support causal inferences in studies of school, classroom and programs.

The VEST Experience

Consider just a few of these tough questions and problems. How do we prepare teachers to be effective? What are the effects of teacher evaluation on teachers’ performance? How do children’s self-regulatory abilities develop as a function of their home and school experiences? What classroom conditions are needed to best support the need of multilingual students (English Learners)? How do we develop high quality assessments for kindergarten readiness and then implement those statewide? These are just a few examples of the kinds of education science questions and problems that VEST fellows and faculty address.

VEST fellows experience an exciting set of courses, workshops and speakers. Through these experiences, fellows learn a set of rigorous experimental and quasi-experimental methods that help them develop proficiency in designs that allow for causal inference. Further, students increase their exposure and depth in at least one of four areas including teacher quality, early childhood, social and behavioral context for academic learning, and post-secondary and adult education.


VEST Workshops and Talks

View available materials and recordings for past VEST events.

Sponsored by the Virginia Education Sciences Training (VEST) Program with support from the U.S. Department of Education Institute of Education Sciences (IES) and the School of Education and Human Development Dean’s Office. Additional co-sponsors may be noted below.

Upcoming workshops will be listed on the events page. VEST fellows are required to attend.

Past workshops have included:

  • 2024
  • 2023
  • 2020
    • Center for Open Science - Open Science: Open and Reproducible Research Practices with the
    • Beth Tipton - Generalizability
    • Allison Atteberry - Grant Writing
  • 2019
    • Andrew Hayes - Statistical Mediation, Moderation, and Conditional Process Analysis
    • Brooks Bowden - Economic Evaluation & Cost-effectiveness Analysis
    • Holly Coy - Writing Policy Memos
  • 2018
    • Craig Enders - Missing Data
    • Audrey Breen - Communicating Your Science
    • R follow-up - Ben Skinner
    • R - Ben Skinner
  • 2017
    • Sarah Reber - Data Visualization
    • Arya Ansari - Person-Centered Methods in Educational Research
  • 2016
    • Susanna Loeb - Value-Added Measures
    • Allison Atteberry - Application of Hierarchical Linear Models in Behavioral and Social Research
    • Kelli Bird - Designing and Implementing Randomized Control Trials in Education Research
  • 2015
    • Andrew F. Hayes - Statistical Mediation, Moderation, and Conditional Process Analysis
    • Julie Cohen and Lia Sandilos - Navigating the Measures of Effective Teaching Data Set
    • James P. Connell - Using Data to Create Common Ground and Inform Decision-Making in Schools & School Districts
  • 2014
    • Dan Martin - R
    • Tracy Sweet, Brian Junker & Andrew Thomas - Social Network Analysis
    • Craig Enders - Missing Data
  • 2013
    • Allison Atteberry - Hierarchical Linear Modeling
    • Elizabeth Tipton - Meta-Analysis
  • 2012
    • Ross Larsen & Tashia Abry - Mediation and Moderation
  • 2011
    • Neil Seftor, Jill Constantine, Jean Knab - What Works Clearinghouse Training
    • Ross Larsen - Missing Data
    • Tom Weisner - Mixed Methods
  • 2010
    • Mark Conaway - Randomized Controlled Trials in Education
  • 2009
    • Kevin Grimm - Power Analysis
    • Andy Mashburn - HLM for Studying School Effects
    • Patrick Meyer - Data Management
  • 2008
    • Kevin Grimm - Introduction to Longitudinal Data Analysis Using Structural Equation Modeling
    • Andy Mashburn - Introduction to Randomized Controlled Trials (RCT's) in Education Research
  • 2007
    • Amy Luckner, Sonya Myers, Claire Ponitz - Reviewing Research Articles: The How, What and When to Stop
    • Sara Rimm-Kaufman - Preparing for the Job Market
    • Tim Curby and Lori Nathanson - SPSS Workshop
    • David Grissmer - Exploring and Using the NAEP and ECLS-K Data Sets
  • 2006
    • Jason Downer and Andy Mashburn - Orientation to the NICHD Study of Early Child Care and Youth Development Data Set
    • Kevin Grimm - Longitudinal Data Analysis Using Structural Equation Modeling
    • David Lopez - Program Evaluation in the Context of No Child Left Behind (NCLB) and Active Learning
  • 2005
    • Andrew Mashburn - Hierarchical Linear Models for Studying School Effects
    • Ryan Bowles - Item Response Theory
    • Emilio Ferrer - Applied Longitudinal Data Analysis

VEST fellow are encouraged to attend the Education Policy Seminar Series. Sponsored by the Bankard Foundation and EdPolicyWorks, all upcoming events can be found on the main event page. For recommended readings, questions about the series, or archived event details, please contact [email protected].

VEST Prepares a New Generation of Education Researchers

We asked four VEST alumni to reflect on their experiences with core aspects of the VEST program.

VEST alumni reflect on their experience

Research-Practice Partnership Experience (RPE)

The Research-Practice Partnership Experience (RPE) is a hallmark characteristic of the VEST fellowship. Too often, we see a gap between the knowledge produced by researchers and the information that policy-makers and educators need to make decisions. As part of the VEST fellowship, students work in partnership with an outside agency (e.g., state department of education, school district, education non-profit) and learn the intricacies of full partnership. Not only do fellows leave the program prepared to conduct rigorous research, the problems they choose and the approaches they take are much more relevant as a result of their training.

VEST alumni reflect on their experience


Regardless of the methods chosen, VEST students and affiliates learn to apply methods rigorously and carefully.

VEST alumni reflect on their experience

Diversity and Equity

Through scholarship, teaching, and partnerships with educational organizations, VEST students and faculty strive to improve equity and evidence in education.

VEST alumni reflect on their experience

Lectureship Series

VEST typically holds four Education Research Lectureship Series talks each semester, all of which are required for VEST students to attend. Speakers are selected with VEST goals in mind.

VEST Faculty

VEST faculty serve as mentors and co-mentors to our fellows. Four-year fellows in our Ph.D. programs have a primary mentor from the School of Education and Human Development and in their 3rd year, a co-mentor from another discipline. Two-year fellows from other disciplines continue to work with their primary advisor from their home department and work with a School of Education and Human Development co-mentor as well.

Our faculty engage in training experiences that offer extensive expertise including econometric models of teacher quality, the RCT design and analysis, and the design and evaluation of professional development supports for teachers and their effects on student learning.

Allison Atteberry

Allison Atteberry

  • Associate Professor of Education & Public Policy
  • Director, EdPolicyWorks
Brendan Bartanen

Brendan Bartanen

  • Assistant Professor
Daphna Bassok

Daphna Bassok

  • Professor of Education and Public Policy
  • Associate Director, EdPolicyWorks
Catherine Bradshaw

Catherine P. Bradshaw

  • Senior Associate Dean for Research
  • University Professor
Julia Jackson Cohen

Julie Jackson Cohen

  • Charles S. Robb Associate Professor
Nancy L Deutsch

Nancy L. Deutsch

  • Associate Dean for Faculty Affairs
  • Linda K. Bunker Professor of Education
  • Director, Youth-Nex
Jason T Downer

Jason T. Downer

  • Professor
  • Director, Center for Advanced Study of Teaching and Learning
Tanya Evans

Tanya Evans

  • Research Assistant Professor
Chris S Hulleman

Chris S. Hulleman

  • Research Professor
Lieny Jeon

Lieny Jeon

  • Jane Batten Bicentennial Associate Professor
Jamie J. Jirout

Jamie J. Jirout

  • Associate Professor
Luke C Miller

Luke C. Miller

  • Research Associate Professor
Natalia Palacios

Natalia Palacios

  • Associate Professor
Robert C Pianta

Robert C. Pianta

  • Batten Bicentennial Professor of Early Childhood Education
Sara Rimm-Kaufman

Sara Rimm-Kaufman

  • Chair, Department of Education Leadership, Foundations and Policy
  • Commonwealth Professor of Education
Josipa Roksa

Josipa Roksa

  • Professor
Beth Schueler

Beth Schueler

  • Assistant Professor
Naila A. Smith

Naila A. Smith

  • Assistant Professor
Jim Soland

Jim Soland

  • Assistant Professor
Sarah Turner

Sarah E. Turner

  • University Professor of Economics & Education
Jessica E Whittaker

Jessica E. Whittaker

  • Research Associate Professor
  • Director of Birth to Eight Initiatives
Amanda P Williford

Amanda P. Williford

  • Batten Bicentennial Professor of Early Childhood Education Associate Director for Early Childhood Education
  • CASTL Clinical Psychologist
Vivian Wong

Vivian Wong

  • Associate Professor
James H Wyckoff

James H. Wyckoff

  • Professor Emeritus
  • Memorial Professor of Education

VEST Partners

Current VEST Fellows

Andrew Avitabile

Andrew Terence Avitabile

  • Ph.D. Student
Ryan Burke

Ryan Burke

## Someone pasted quantum chemistry results at this point
No. 1
Formula: C26H74N6O8
Source: the OMol25 dataset
Level of theory: the ωB97M-V functional and the def2-TZVPD basis

Properties
HOMO energy = -9.2 eV
gap between HOMO and LUMO = 9.661 eV
SMILES = COC[C@H](C)N.COC[C@H](C)N.COC[C@H](C)N.COC[C@H](C)N.COC[C@H](C)N.COC[C@H](C)N.CO.CO
energy above the lowest of the compared OMol25 structures with the same formula, charge and spin = 1.072 eV
E_LUMO = 0.503 eV

The geometry in XYZ format:
```
114
C26H74N6O8 (the ωB97M-V functional and the def2-TZVPD basis)
C 0.97 -3.38 -1.05
O 1.98 -3.30 -2.02
C 2.87 -4.39 -1.93
C 3.78 -4.39 -3.12
C 4.69 -5.61 -3.13
N 4.58 -3.15 -3.09
H 0.30 -4.22 -1.25
H 0.36 -2.48 -1.12
H 1.39 -3.39 -0.04
H 3.49 -4.30 -1.02
H 2.32 -5.34 -1.83
H 3.14 -4.40 -4.02
H 5.12 -5.77 -2.15
H 5.49 -5.45 -3.85
H 4.12 -6.50 -3.43
H 5.10 -3.05 -3.96
H 3.95 -2.35 -3.05
C -0.32 6.40 2.71
O -1.55 5.83 3.07
C -2.48 5.86 2.00
C -3.59 4.86 2.22
C -3.02 3.46 2.46
N -4.46 4.94 1.02
H 0.41 6.16 3.48
H -0.39 7.50 2.64
H 0.02 5.98 1.76
H -2.89 6.88 1.92
H -1.98 5.60 1.05
H -4.17 5.16 3.10
H -2.40 3.43 3.36
H -2.46 3.11 1.60
H -3.84 2.76 2.66
H -3.90 4.68 0.20
H -5.15 4.19 1.10
C -1.32 -3.88 1.58
O -0.52 -4.94 1.13
C -0.58 -6.08 1.97
C 0.52 -7.03 1.53
C 1.89 -6.37 1.54
N 0.27 -7.58 0.18
H -1.30 -3.13 0.79
H -0.92 -3.38 2.47
H -2.36 -4.15 1.79
H -0.50 -5.79 3.02
H -1.55 -6.57 1.79
H 0.55 -7.86 2.24
H 2.20 -5.97 2.50
H 1.93 -5.56 0.81
H 2.63 -7.11 1.22
H 0.04 -6.79 -0.42
H -0.56 -8.16 0.20
C 4.34 1.20 4.76
O 3.38 0.32 4.25
C 3.97 -0.74 3.50
C 2.88 -1.52 2.85
C 1.97 -2.16 3.87
N 3.52 -2.62 2.07
H 5.02 0.71 5.46
H 3.82 2.00 5.30
H 4.91 1.71 3.97
H 4.64 -0.31 2.74
H 4.57 -1.36 4.17
H 2.32 -0.88 2.17
H 1.55 -1.42 4.55
H 2.57 -2.84 4.47
H 1.15 -2.69 3.38
H 4.18 -2.22 1.40
H 2.80 -3.07 1.52
C 1.17 3.31 -0.63
O 2.29 3.03 0.17
C 2.04 2.04 1.13
C 1.13 2.51 2.27
C 1.76 3.63 3.06
N 0.82 1.34 3.11
H 1.52 3.90 -1.47
H 0.44 3.93 -0.09
H 0.67 2.40 -0.97
H 1.66 1.12 0.68
H 3.01 1.77 1.56
H 0.17 2.87 1.88
H 1.20 3.83 3.97
H 1.89 4.54 2.47
H 2.77 3.34 3.38
H 1.67 0.96 3.54
H 0.17 1.55 3.86
C -1.74 1.39 -4.57
O -2.63 2.33 -5.14
C -3.25 1.83 -6.28
C -4.39 2.73 -6.67
C -5.43 2.81 -5.56
N -5.01 2.22 -7.89
H -0.96 1.10 -5.27
H -2.29 0.50 -4.24
H -1.27 1.86 -3.70
H -2.54 1.72 -7.12
H -3.67 0.81 -6.15
H -3.98 3.75 -6.80
H -5.77 1.80 -5.31
H -6.27 3.44 -5.88
H -5.02 3.25 -4.66
H -4.32 2.22 -8.64
H -5.68 2.92 -8.21
C -1.18 -0.28 0.72
O -0.17 -0.77 1.58
H -0.97 0.75 0.41
H -1.23 -0.93 -0.15
H -2.17 -0.24 1.21
H 0.17 -0.02 2.12
C -4.24 3.01 -2.09
O -3.33 4.01 -1.65
H -5.16 3.43 -2.50
H -3.78 2.40 -2.87
H -4.48 2.36 -1.25
H -3.08 4.53 -2.41
```

=====

No. 2
Formula: C2H2F2
Source: the OMol25 dataset
Level of theory: the ωB97M-V functional and the def2-TZVPD basis

Properties
HOMO energy (alpha / beta) = -9.9 / -9.9 eV
gap between HOMO and LUMO (alpha / beta) = 7.748 / 7.754 eV
energy above the lowest of the compared OMol25 structures with the same formula, charge and spin = 5.290 eV
E_LUMO (alpha / beta) = -2.185 / -2.183 eV

  • Ph.D. Student
Gillian Courtney

Gillian Courtney

  • Ph.D. Student
Kenn Dela Cruz

Kenn Dela Cruz

  • Ph.D. Student
Todd Hall headshot

Todd Hall

  • Ph.D. Student
Natalie Hutchins

Natalie Hutchins

  • Ph.D. Student
Lee LeBoeuf

Lee LeBoeuf

  • Ph.D. Student
Elia G. Ramirez

Elia G. Ramirez

  • Ph.D. Student
Erica Sachs headshot

Erica Sachs

  • Ph.D. Student
Dana Sox

Dana Sox

  • Ph.D. Student
Kaela Tidus

Kaela Tidus

  • Ph.D. Student
Allison Ward Seidel smiles at the camera.

Allison Rae Ward-Seidel

  • Ph.D. Student
Xiangyu (Olivia) Zhao

Xiangyu (Olivia) Zhao

  • Ph.D. Student

Contact Us

Reach out for more information regarding VEST 

Two students working on their laptops. One student is pointing to their screen sharing what they are looking at with the other student.

Open Doors Summer Research Program

The Open Doors program, initiated in 2021 with funding from the Virginia Education Science Training (VEST) grant from the U.S. Department of Education, is a collaboration among faculty and graduate students at the University of Virginia (UVA), Norfolk State University (NSU), and Virginia State University (VSU) to provide students from Historically Black Colleges and Universities (HBCUs) with the opportunity to learn about conducting research. The program is for undergraduate students who may be interested in pursuing graduate research degrees.

Learn More

Additional VEST Program Details

Students must have mentors associated with the VEST program and be enrolled in the school's education policy or educational psychology–applied developmental science Ph.D. programs. Invitations to participate in the affiliate program are issued via mentors/advisors who are already associated with VEST.

Affiliate fellows are funded by non-VEST sources and are ineligible to receive any research or travel funds from VEST.

Core Curriculum

All affiliate fellows engage in a core training curriculum comprised of these elements:

  1. Two to four courses, depending on students’ prior engagement and experience with education research, that teach fellows to apply rigorous research methods to the following substantive topics: a) teacher quality, b) early childhood, and c) social and behavioral contexts for academic learning
  2. An apprenticeship to research programs focused on teacher quality, early childhood, or social and behavioral contexts for academic learning (roughly 12 hours/week, depending on the specific arrangement with your mentor, in work related to education)
  3. Training workshops in advanced statistical modeling or design
  4. Attendance at interdisciplinary speaker series presentations

For additional information and conditions of the fellowship please speak with the VEST coordinator or your mentor.

The School of Education and Human Development received funding from the Institute of Education Sciences (IES) of the U.S. Department of Education in 2004 to implement a Fellowship Program in the Education Sciences. Additional grants were awarded in 20092014, and 2020 that has allowed the School to build upon the existing Fellowship program and provide interdisciplinary training to students. Other fellows in the program are supported by other research grants and funding from the School.

News & Stories

Explore alumni features and other news related to our faculty, program, and work.

Funding Disclaimer

The information provided on the School of Education and Human Development's website regarding financial aid is intended for reference purposes only. While we strive to ensure the accuracy and timeliness of the information presented, it is important to note that this information should not be construed as a guarantee of funding.

Financial aid availability and eligibility may be subject to various factors, including but not limited to changes in federal or state regulations, institutional policies, funding availability, and individual qualifications. The information provided on these pages may change, and it is recommended that you verify the accuracy of details with the appropriate department administrator.